Thursday, May 3, 2012

Hope and HeART
Materials data that have nothing to do with the text:
+++
# 1
The following is a calculated powder XRD pattern of PaZnCuO5. It was derived from a cell relaxed with PBE, using Cu Kα X-rays.
Neutral-atom scattering factors, no anomalous dispersion.

Largest 10 diffraction maxima, sorted by position, 2θ from 10° to 80°:
18.1 deg, I 100.0
26.1 deg, I 53.2
26.6 deg, I 28.8
31.2 deg, I 26.4
31.4 deg, I 69.1
32.3 deg, I 87.4
32.7 deg, I 56.2
37.5 deg, I 40.8
44.6 deg, I 27.3
56.5 deg, I 27.4

Structure:
```
data_PaZnCuO5
_chemical_formula_sum 'Pa4 Zn4 Cu4 O20'
_symmetry_space_group_name_H-M 'C 1 2/c 1'
_symmetry_Int_Tables_number 15
_cell_length_a 6.316
_cell_length_b 9.505
_cell_length_c 7.396
_cell_angle_alpha 90.00
_cell_angle_beta 114.90
_cell_angle_gamma 90.00
loop_
_symmetry_equiv_pos_as_xyz
'x,y,z'
'-x,-y,-z'
'-x,y,-z+1/2'
'x,-y,z+1/2'
'x+1/2,y+1/2,z'
'-x+1/2,-y+1/2,-z'
'-x+1/2,y+1/2,-z+1/2'
'x+1/2,-y+1/2,z+1/2'
loop_
_atom_site_label
_atom_site_type_symbol
_atom_site_fract_x
_atom_site_fract_y
_atom_site_fract_z
Pa1 Pa 0.000 0.054 0.250
Zn1 Zn 0.250 0.250 0.000
Cu1 Cu 0.000 0.398 0.250
O1 O 0.000 0.164 0.750
O2 O 0.020 0.253 0.421
O3 O 0.249 0.023 0.085
```

=====

# 2
The following is a calculated powder XRD pattern of SrAlInF6. It was derived from a cell relaxed with PBE, using Cu Kα X-rays.
Neutral-atom scattering factors, no anomalous dispersion.

Largest 10 diffraction maxima, sorted by position, 2θ from 10° to 80°:
23.8 deg, I 100.0
30.3 deg, I 27.4
37.2 deg, I 9.8
38.9 deg, I 16.4
38.9 deg, I 8.2
45.1 deg, I 27.9
45.2 deg, I 8.3
50.0 deg, I 18.3
50.2 deg, I 9.1
53.2 deg, I 9.6

Structure:
```
data_SrAlInF6
_chemical_formula_sum 'Sr2 Al2 In2 F12'
_symmetry_space_group_name_H-M 'C 1 2 1'
_symmetry_Int_Tables_number 5
_cell_length_a 5.888
_cell_length_b 10.237
_cell_length_c 5.488
_cell_angle_alpha 90.00
_cell_angle_beta 90.11
_cell_angle_gamma 90.00
loop_
_symmetry_equiv_pos_as_xyz
'x,y,z'
'-x,y,-z'
'x+1/2,y+1/2,z'
'-x+1/2,y+1/2,-z'
loop_
_atom_site_label
_atom_site_type_symbol
_atom_site_fract_x
_atom_site_fract_y
_atom_site_fract_z
Sr1 Sr 0.000 0.000 0.000
Al1 Al 0.000 0.333 0.000
In1 In 0.000 0.667 0.500
F1 F 0.123 0.202 0.809
F2 F 0.134 0.459 0.809
F3 F 0.241 0.837 0.810
```

=====

# 3
The following is a calculated powder XRD pattern of Ca7Pt5. It was derived from a cell relaxed with PBE, using Cu Kα X-rays.
Neutral-atom scattering factors, no anomalous dispersion.

Largest 10 diffraction maxima, sorted by position, 2θ from 10° to 80°:
17.1 deg, I 37.3
21.3 deg, I 19.5
30.7 deg, I 18.6
34.5 deg, I 100.0
34.8 deg, I 92.9
38.7 deg, I 38.9
41.0 deg, I 57.9
57.6 deg, I 43.5
70.4 deg, I 22.0
70.8 deg, I 21.7

Structure:
```
data_Ca7Pt5
_chemical_formula_sum 'Ca7 Pt5'
_symmetry_space_group_name_H-M 'P m m m'
_symmetry_Int_Tables_number 47
_cell_length_a 4.656
_cell_length_b 6.258
_cell_length_c 9.300
_cell_angle_alpha 90.00
_cell_angle_beta 90.00
_cell_angle_gamma 90.00
loop_
_symmetry_equiv_pos_as_xyz
'x,y,z'
'-x,-y,-z'
'-x,-y,z'
'x,y,-z'
'x,-y,-z'
'-x,y,z'
'-x,y,-z'
'x,-y,z'
loop_
+++
Back to the text:

From the Sacred Art Studio May newsletter:
Welcome to all the new subscribers, many who signed up during Earth & Spirit Council's Earth Day Conference at PCC Sylvania. It was a sacred gathering of like-hearted beings that brought together our youth and elders to honor the Earth, learn from our indigenous teachers, and find hope and heart during this time of evolutionary transformation. I facilitated one of the many workshops that were presented throughout the day: "Opening the Heart through Art." Expressing our gratitude and/or grief for the living Earth through the creative process, we created personal heart mandalas.

One of the participants shared with us afterwards that during the visualization, she was feeling fear but through the process of creating her mandala she was able to move through it. For me, this once again affirms what I believe to be the power of art to heal our hearts and our world. This illustrates that it isn't about the denial of the fear (or grief, helplessness, anger, etc) but acknowledging it, allowing ourselves to feel it, transforming it through our creativity, and ultimately, inspiring us to action. 
When I arrived for the opening ceremony I wasn't feeling very hopeful (climate change, species extinction, political name it) but by the end of the conference, I walked away inspired and believing that, yes, art matters more than ever now. That we indeed must harness all of our innate creativity in order to serve the healing of our world. Each of us a role to play and it is our job to claim that in whatever form it may take. To quote Buddha, "Your work is to discover your work and then with all your heart to give yourself to it." 
At the conference, when asked what can we as individuals can do, Grandmother Agnes Baker-Pilgrim, one of the Thirteen Indigenous Grandmothers, said, "Use what ya got. Keep your eyes and ears open. Then act on what you see and what you hear. Use your voice." Seems pretty straight forward to me! A friend just shared with me an example of this. Walking in a local nature preserve recently, she encountered a father and son carelessly walking through a bird-nesting area. She saw this, and out of deep love for the birds, pointed out the situation. They essential ridiculed her for this and a confrontation ensued, with the father shouting that she was insane. Bereft by their lack of concern, she continued to speak out and though it might not have changed their behavior, she is now in the process of working with local organizations to create some form of protection for these creatures whether through fencing or signage. A small act perhaps but as Mother Teresa said: "We can do no great things, only small things with great love."
What is your work? 
What can you give voice to today?
I'm currently having fun preparing for an Art as Sacred Journey workshop that I am facilitating at Unitarian Universalist church in Vancouver on May 5. An annual retreat day for the women of the congregation, the day will focus on reclaiming art as our sacred inheritance, exploring the awe and wonder of creation, opening the heart through sharing our concerns/pain for the earth, practicing art-as-meditation, and finding ways our creativity can serve our world. For more information on my workshops visit my web site here. I'm no longer offering day-long workshops at my studio due to space limitations, but I am available to come to your church, organization, or community. Contact me for more information.  
I am also excited to be in the process of filming my large scale painting "Lovers of Creation" or a short documentary/video currently titled, "Journey into the Creation." Thanks to filmmaker Deb Rodney for co-creating this vision with me. As many of you know who have been following the creation of this triptych (3-panels), it was inspired originally by my grief during the Gulf Oil spill. The painting brings together symbolism from both earth-based spirituality and the Garden of Eden narrative in order to illustrate our interconnectedness in the web of Creation, reclaim our indigenous roots, inspire us to be good stewards, and to raise awareness (and funds) around of the plight of endangered species. And for beauty which I believe can awaken us to new ways of being, new ways of seeing.  
"Humanity's materialistic worldview must transition to a sacred view of Oneness with the environment and cosmos or risk self-destruction due to continued abuse of the life-web. Great works in the creative arts call us to imagine our higher unity as humanity evolves toward a sustainable planetary civilization." -Alex Grey, spiritual artist.
As always, I welcome your thoughts.
For love of the EARTH!